right and wrong

How can Regenerative Cotton make the Planet Better?

While cotton is a common material used to create products, there are adverse effects from conventional cotton. It has many chemicals in the make-up that aren’t healthy for us. This includes:

  • Herbicides
  • Insecticides
  • Pesticides
  • Synthetic Fertilizers

These harmful chemicals can damage the air we breathe, water resources, and the quality of the soil. They have been linked to harming the overall quality of life for people. Approximately 1 million agricultural workers are admitted to the hospital annually for poisoning from such chemicals relating to their job tasks.

Such chemicals are often sprayed on conventional cotton, but they also get into the soil and the water due and that is a concern for the environment. These chemicals can float through the air, harming crops and other entities close by. If those farms in the area grow food, it can become contaminated due to these types of harmful chemicals in the air. It can cause illness, birth defects, and death.

The soil is harmed from these chemicals, making it harder to grow quality crops on that land. It is expensive for farmers to recover from the negative effects these chemicals create. This is where a new approach has emerged for growing cotton, to reduce those risks.

Kiss the Ground Cotton

With Kiss the Ground cotton, the goal is regenerative cotton production. It was implemented in 2022 as a partnering concept between Advancing Eco Agriculture (AEA) and Citizens of Humanity Group. Both of these groups are involved with regenerative agriculture and education. They work with farmers mainly in the United States, but their outreach programs have been found in several countries.

They educate farmers on the benefits from regenerative cotton and how to adopt those principles into their business model. It takes time and direction for a farm to transition from their traditional cotton growing methods to those receptive of regenerative cotton production. Part of this process involves steps to make the soil healthier again so that the product can thrive. This growing process offers positive benefits for the soil and the environment.

## These calculated molecules were left in the article by mistake
'''
1.
The following is a DFT calculation (ωB97M-V/def2-TZVPD) of a molecular structure, C37H43NP2PdSb2.

2S+1: 3
Frontier orbital gap (alpha / beta) in eV: 8.145 / 5.778
Calculated total energy in hartree: -2781.0735
Total charge: +2

Positions of all 86 atoms, in Å:
Pd (-0.35, 0.46, -0.35)
C (0.17, -3.73, -1.61)
N (-0.01, -2.38, -1.07)
P (1.19, -1.27, -0.69)
C (2.10, -0.81, -2.16)
C (1.56, -1.06, -3.42)
C (2.20, -0.59, -4.56)
C (3.38, 0.14, -4.43)
C (3.91, 0.40, -3.18)
C (3.28, -0.07, -2.04)
C (2.32, -2.05, 0.48)
C (1.89, -2.18, 1.80)
C (2.68, -2.84, 2.72)
C (3.91, -3.37, 2.32)
C (4.33, -3.25, 1.01)
C (3.54, -2.58, 0.08)
P (-1.48, -1.56, -0.86)
C (-2.40, -2.46, 0.40)
C (-1.76, -3.33, 1.27)
C (-2.47, -3.96, 2.28)
C (-3.83, -3.69, 2.43)
C (-4.47, -2.81, 1.57)
C (-3.76, -2.19, 0.55)
C (-2.41, -1.67, -2.39)
C (-3.17, -2.80, -2.70)
C (-3.81, -2.88, -3.92)
C (-3.70, -1.84, -4.83)
C (-2.96, -0.71, -4.52)
C (-2.32, -0.62, -3.30)
H (1.23, -3.98, -1.60)
H (-0.19, -3.80, -2.63)
H (-0.36, -4.46, -1.00)
H (0.63, -1.62, -3.52)
H (1.79, -0.80, -5.53)
H (3.88, 0.50, -5.32)
H (4.83, 0.96, -3.09)
H (3.70, 0.13, -1.06)
H (0.93, -1.77, 2.10)
H (2.36, -2.95, 3.75)
H (4.53, -3.89, 3.04)
H (5.28, -3.67, 0.70)
H (3.88, -2.49, -0.94)
H (-0.70, -3.54, 1.15)
H (-1.98, -4.66, 2.94)
H (-4.39, -4.18, 3.22)
H (-5.53, -2.62, 1.69)
H (-4.28, -1.52, -0.13)
H (-3.26, -3.61, -1.98)
H (-4.39, -3.76, -4.17)
H (-4.21, -1.91, -5.79)
H (-2.89, 0.11, -5.23)
H (-1.74, 0.27, -3.05)
C (-1.76, -0.48, 3.40)
Sb (-0.68, 0.91, 2.20)
C (1.10, 1.22, 3.30)
C (-1.75, 2.77, 2.46)
C (-0.78, 3.90, 2.68)
C (-0.37, 4.17, 3.98)
C (0.55, 5.16, 4.26)
C (1.07, 5.92, 3.22)
C (0.65, 5.68, 1.93)
C (-0.28, 4.68, 1.63)
C (-0.70, 4.51, 0.20)
Sb (0.41, 2.97, -0.80)
C (2.39, 3.52, -0.32)
C (0.27, 3.52, -2.84)
H (-1.96, 0.00, 4.35)
H (-1.15, -1.36, 3.56)
H (-2.69, -0.76, 2.91)
H (0.86, 1.24, 4.37)
H (1.53, 2.17, 3.01)
H (1.80, 0.41, 3.10)
H (-2.38, 2.63, 3.33)
H (-2.39, 2.90, 1.59)
H (-0.79, 3.58, 4.79)
H (0.85, 5.35, 5.28)
H (1.79, 6.71, 3.42)
H (1.03, 6.30, 1.12)
H (-0.52, 5.43, -0.36)
H (-1.76, 4.27, 0.09)
H (2.58, 4.53, -0.66)
H (3.08, 2.83, -0.81)
H (2.53, 3.47, 0.76)
H (0.65, 4.53, -2.97)
H (-0.77, 3.48, -3.17)
H (0.86, 2.83, -3.44)

***

2.
The following is a DFT calculation (ωB97M-V/def2-TZVPD) of a single C2H4N4S molecule.

2S+1: 1
Frontier orbital gap (alpha / beta) in eV: 7.364 / 6.999
Calculated total energy in hartree: -695.6681

Positions of all 11 atoms, in Å:
C (0.38, 0.48, 1.91)
C (-0.98, -0.79, 0.38)
N (-0.01, -0.01, 3.01)
N (-1.76, -1.41, -0.42)
N (-0.02, 0.12, 0.54)
N (0.54, 0.88, -0.54)
S (-1.34, -1.06, 3.09)
H (1.07, 1.36, 1.89)
H (-2.45, -2.03, -0.11)
H (-0.22, 1.33, -1.13)
H (0.97, 0.27, -1.32)

***

3.
The following is a DFT calculation (ωB97M-V/def2-TZVPD) of a molecular structure, C24H32N5O2PS3Ta.

2S+1: 1
Frontier orbital gap in eV: 6.912
Calculated total energy in hartree: -2950.1669
Total charge: +3

Positions of all 68 atoms, in Å:
Ta (0.65, 1.03, 0.32)
C (-0.90, 2.96, 2.49)
'''

It is designed to reverse the harmful effects from traditional farming methods, changes to the climate, and human elements. Regenerative farming methods promote better health, better soil, and cleaner water resources. Kiss The Ground cotton ensures farmers have the information necessary to help them benefit from the economic and environmental impact these changes deliver. They will receive help getting the best practices in motion.

Armed with valuable information and receiving support, farmers often grasp the opportunity before them! They want to see their land thrive and they want to do what is helpful for the environment. They don’t want workers or people in general to struggle with the negative effects from chemicals related to traditional cotton farming methods.

The trademark offered with Kiss the Ground cotton ensures consumers are aware of the production process. They can choose products that are created from regenerated cotton to help the environment. Such purchases also help sustain the efforts of the farmers that have gone the distance to make the process better for everyone.

Studies indicate regenerative farming, including the cotton process, will help reduce problems relating to chemicals and global warming. It will help soil become rich in nutrients and offer production of healthier plants. The use of harmful chemicals can be eliminated or at least significantly reduced. Restoring the value of the soil and creating better crops are key to healthier farming options.

Each farm has unique challenges and a custom plan has to be implemented. Kiss the Ground cotton takes the time to work closely with the farmers. They help them assess the land, evaluating the best way to use it for successful crop development. At the same time, it feels good to help people and create a healthier planet. These changes won’t have a strong impact overnight, but they will be a positive resource. As more people learn about regenerative cotton, it continues to be a viable solution.